### Activity
Return every line underneath that contains the word "Ho", please.
### Given
1.
Below is a relaxed structure of Rb2ScAu2, with properties calculated at the PBE level.

Lattice parameters (Å, degrees): 6.8248 6.8248 6.8248 127.71 127.71 77.10
Fractional positions:
Rb 0.1483 0.1483 0.0000
Rb 0.8517 0.8517 0.0000
Sc 0.5000 0.5000 0.0000
Au 0.2500 0.7500 0.5000
Au 0.7500 0.2500 0.5000

E   -2.432 eV per atom
DFT formation energy   0.5326 eV/atom
Energy relative to the lowest polymorph listed for this composition   0.6103 eV/atom
DOS at the Fermi energy   7.58 states/eV/f.u.
SG   I4/mmm (139)

=====

2.
Below is a relaxed structure of BaNiBr2, with properties calculated at the PBE level.

Lattice parameters (Å, degrees): 7.2810 7.2810 4.7257 96.60 96.60 35.93
Fractional positions:
Ba 0.0000 0.0000 0.0000
Ni 0.5000 0.5000 0.5000
Br 0.3518 0.3518 0.2519
Br 0.6482 0.6482 0.7481

Energy relative to the elements, uncorrected   -100.4 kJ per mole of atoms
E   -3.803 eV per atom
Energy relative to the lowest polymorph listed for this composition   0.0000 eV/atom
SG   C2/m (12)

=====

3.
Below is a relaxed structure of Li2Nd3AlPd9, with properties calculated at the PBE level.

Lattice parameters (Å, degrees): 6.6979 6.6979 7.1854 90.00 90.00 120.00
Fractional positions:
Li 0.3333 0.6667 0.1428
Li 0.6667 0.3333 0.8572
Nd 0.0000 0.0000 0.0000
Nd 0.3333 0.6667 0.6732
Nd 0.6667 0.3333 0.3268
Al 0.0000 0.0000 0.5000
Pd 0.0000 0.5000 0.0000
Pd 0.1778 0.3555 0.3346
Pd 0.1778 0.8222 0.3346
Pd 0.3555 0.1778 0.6654
Pd 0.5000 0.0000 0.0000
Pd 0.5000 0.5000 0.0000
Pd 0.6444 0.8222 0.3346
Pd 0.8222 0.1778 0.6654
Pd 0.8222 0.6444 0.6654

E   -5.097 eV per atom
DFT formation energy   -0.5231 eV/atom
DOS at the Fermi energy   5.52 states/eV/f.u.
SG   P-3m1 (164)

=====

4.
Below is a relaxed structure of DyTlGeO4, with properties calculated at the PBE level.

Lattice parameters (Å, degrees): 5.8701 5.9306 7.7052 90.00 107.50 90.00
Fractional positions:
Dy 0.1999 0.2500 0.0456
Dy 0.8001 0.7500 0.9544
Tl 0.3342 0.2500 0.5932
Tl 0.6658 0.7500 0.4068
Ge 0.2638 0.7500 0.8486
Ge 0.7362 0.2500 0.1514
O 0.0570 0.5238 0.8371
O 0.0570 0.9762 0.8371
O 0.4542 0.7500 0.7093
O 0.4780 0.7500 0.0688
O 0.5220 0.2500 0.9312
O 0.5458 0.2500 0.2907
O 0.9430 0.0238 0.1629
O 0.9430 0.4762 0.1629

Energy relative to the elements, uncorrected   -204.4 kJ per mole of atoms
E   -6.607 eV per atom
DOS at the Fermi energy   0.00 states/eV/f.u.
SG   P2_1/m (11)

=====

5.
Below is a relaxed structure of HoPaHg2O6, with properties calculated at the PBE level.

Lattice parameters (Å, degrees): 6.1809 6.1809 6.1809 56.54 56.54 56.54
Fractional positions:
Ho 0.0000 0.0000 0.0000
Pa 0.5000 0.5000 0.5000
Hg 0.2540 0.2540 0.2540
Hg 0.7460 0.7460 0.7460
O 0.1351 0.3745 0.7413
O 0.2587 0.8649 0.6255
O 0.3745 0.7413 0.1351
O 0.6255 0.2587 0.8649
O 0.7413 0.1351 0.3745
O 0.8649 0.6255 0.2587

Energy relative to the elements, uncorrected   -216.2 kJ per mole of atoms
E   -6.683 eV per atom
SG   R-3 (148)

=====

6.
Below is a relaxed structure of MgGa6Rh, with properties calculated at the PBE level.

Lattice parameters (Å, degrees): 5.3857 5.3857 5.3416 99.73 99.73 106.68
Fractional positions:
Mg 0.0000 0.0000 0.0000
Ga 0.0921 0.5739 0.2635
Ga 0.4126 0.4126 0.7296
Ga 0.4261 0.9079 0.7365
Ga 0.5739 0.0921 0.2635
Ga 0.5874 0.5874 0.2704
Ga 0.9079 0.4261 0.7365
Rh 0.0000 0.0000 0.5000

E   -3.585 eV per atom
DFT formation energy   -0.1968 eV/atom
DOS at the Fermi energy   2.04 states/eV/f.u.
SG   C2/m (12)

----------

# 1
5
Lattice="-4.296 -2.185 1.250 0.830 -3.564 -3.376 1.631 -1.857 2.361" Properties=species:S:1:pos:R:3 comment="PBE AlNiSe2N, optimized geometry" n_ef_per_ev_atom=0.5685 total_energy_ev_per_atom=-4.56 pbc="T T T"
N 0.815 -0.928 1.180
Al -0.918 -3.803 0.117
Ni 0.000 0.000 0.000
Se -2.148 -1.092 0.625
Se 0.415 -1.782 -1.688


# 2
5
Lattice="-1.202 -3.500 -3.292 2.920 1.458 -2.617 3.337 -3.050 2.024" Properties=species:S:1:pos:R:3 comment="PBE SrAlNi2N, optimized geometry" n_ef_per_ev_atom=1.3179 total_energy_ev_per_atom=-3.22 pbc="T T T"
### Completed
Ho 0.0000 0.0000 0.0000